The Drake Passage
== Unrelated to this article: calculated crystals ==
'''
# 1
Density functional theory data (PBE with a Hubbard U) for a geometry-optimized CaCo2O4 structure.

Lattice parameters (Å, degrees): 5.1880 5.1880 9.7848 90.00 90.00 145.04
Positions (direct):
O 0.7726 0.2274 0.1070
O 0.2274 0.7726 0.6070
O 0.5000 0.5000 0.5000
O 0.2274 0.7726 0.8930
O 0.9324 0.0676 0.7500
O 0.0676 0.9324 0.2500
O 0.5000 0.5000 0.0000
O 0.7726 0.2274 0.3930
Ca 0.3925 0.6075 0.2500
Ca 0.6075 0.3925 0.7500
Co 0.1354 0.8646 0.4327
Co 0.8646 0.1354 0.9327
Co 0.1354 0.8646 0.0673
Co 0.8646 0.1354 0.5673

Results
The energy above the lowest structure with this stoichiometry comes out at 0.0892 eV per atom. As for the density: 4.88 g cm⁻³.


# 2
Density functional theory data (PBE with a Hubbard U) for a geometry-optimized CaCoO2 structure.

Lattice parameters (Å, degrees): 3.2454 8.0763 8.3208 97.86 91.64 91.64
Positions (direct):
Co 0.2959 0.2665 0.4230
Co 0.0692 0.5882 0.2865
Co 0.6846 0.7032 0.5961
Co 0.9391 0.3815 0.7291
Ca 0.7094 0.9334 0.3153
Ca 0.2784 0.7260 0.9386
Ca 0.2656 0.0363 0.7048
Ca 0.6855 0.2437 0.0810
O 0.7901 0.7051 0.1262
O 0.1828 0.7888 0.4723
O 0.4521 0.5252 0.7124
O 0.7638 0.8716 0.7977
O 0.2085 0.0980 0.2219
O 0.7985 0.1800 0.5465
O 0.1726 0.2620 0.8949
O 0.5528 0.4446 0.3124

Results
The energy above the lowest structure with this stoichiometry comes out at 0.0000 eV per atom. As for the density: 4.03 g cm⁻³.


# 3
Density functional theory data (PBE with a Hubbard U) for a geometry-optimized CaCo4O9 structure.

Lattice parameters (Å, degrees): 8.2688 8.2688 5.1952 90.00 90.00 90.00
Positions (direct):
O 0.2439 0.5723 0.0824
O 0.7102 0.8945 0.4479
O 0.7439 0.0723 0.9176
O 0.2102 0.3945 0.5521
O 0.6055 0.2102 0.4479
O 0.1055 0.7102 0.5521
O 0.4277 0.2439 0.9176
O 0.3945 0.7898 0.4479
O 0.9277 0.7439 0.0824
O 0.5723 0.7561 0.9176
O 0.7561 0.4277 0.0824
O 0.5000 0.5000 0.5000
O 0.2561 0.9277 0.9176
O 0.2898 0.1055 0.4479
O 0.0000 0.0000 0.5000
O 0.7898 0.6055 0.5521
O 0.0723 0.2561 0.0824
O 0.8945 0.2898 0.5521
Co 0.7856 0.0884 0.6082
Co 0.5884 0.7144 0.6082
Co 0.7144 0.4116 0.3918
Co 0.9116 0.7856 0.3918
Co 0.0884 0.2144 0.3918
Co 0.2144 0.9116 0.6082
Co 0.4116 0.2856 0.6082
Co 0.2856 0.5884 0.3918
Ca 0.0000 0.5000 0.8622
Ca 0.5000 0.0000 0.1378

Results
As for the density: 3.93 g cm⁻³. The total energy is -5.693 eV per atom.


# 4
Density functional theory data (PBE with a Hubbard U) for a geometry-optimized CaCoO2 structure.

Lattice parameters (Å, degrees): 3.0696 8.0276 8.6262 85.77 88.83 86.35
Positions (direct):
O 0.7022 0.8054 0.6354
O 0.1988 0.6750 0.0046
O 0.2978 0.1946 0.3646
O 0.8012 0.3250 0.9954
O 0.7549 0.5638 0.3181
O 0.6174 0.0833 0.7461
O 0.3826 0.9167 0.2539
O 0.2451 0.4362 0.6819
Ca 0.2308 0.7082 0.4542
Ca 0.2774 0.4160 0.1747
Ca 0.7226 0.5840 0.8253
Ca 0.7692 0.2918 0.5458
Co 0.3084 0.2485 0.8713
Co 0.1607 0.9422 0.6996
Co 0.6916 0.7515 0.1287
Co 0.8393 0.0578 0.3004

Results
'''
Crossing the Drake passage from South Argentina to the Antarctic Peninsula is something you’ll inevitably have to do if you dare venture to this elusive seventh continent by ship.
The Drake passage is a large body of water south of Cap Horn in south Argentina. This passage is particularly rough as on this latitude the water can flow freely all around the world without being slowed down by land. This is the only place in the world where the water flows unhindered without any land mass stopping it.
Furthermore, due to the shape of South America and the Antarctic peninsula this passage becomes very narrow (compared to the Pacific Ocean and the Atlantic Ocean) and acts as a funnel where the two oceans meet, creating very rough conditions.
### Materials data, kept here for reference
# 1
Here is an optimized crystal structure of Mg2VGa3S8 from the Materials Project. Energies are from PBE-GGA.

Computed properties:
E_form   -1.11 eV per atom
Calculated volume   278.8 Å³ per cell
Total energy   -65.97 eV/cell
Magnetization   2.00 μB per cell

Unit cell a=7.312 b=7.317 c=7.323 alpha=119.88 beta=90.41 gamma=119.45
Sites, in units of the cell vectors:
Mg 0.125 0.250 0.375
Mg 0.875 0.750 0.625
V 0.500 0.000 0.000
Ga 0.000 0.500 0.000
Ga 0.500 0.000 0.500
Ga 0.500 0.500 0.000
S 0.262 0.522 0.240
S 0.263 0.528 0.784
S 0.264 0.979 0.234
S 0.283 0.019 0.763
S 0.717 0.981 0.237
S 0.736 0.021 0.766
S 0.737 0.472 0.216
S 0.738 0.478 0.760



# 2
Here is an optimized crystal structure of LiYMg14 from the Materials Project. Energies are from PBE-GGA.

Computed properties:
E_form   0.00 eV per atom
Calculated volume   377.3 Å³ per cell
Total energy   -30.75 eV/cell
Magnetization   0.00 μB per cell
Excess energy over the best structure of this formula in the dataset   0.007 eV per atom

Unit cell a=10.382 b=6.495 c=6.495 alpha=59.48 beta=90.00 gamma=90.00
Sites, in units of the cell vectors:
Li 0.000 0.000 0.000
Y 0.000 0.506 0.506
Mg 0.000 0.001 0.517
Mg 0.000 0.517 0.001
Mg 0.243 0.169 0.169
Mg 0.254 0.168 0.672
Mg 0.254 0.672 0.168
Mg 0.255 0.671 0.671
Mg 0.500 0.005 0.005
Mg 0.500 0.005 0.503
Mg 0.500 0.503 0.005
Mg 0.500 0.504 0.504
Mg 0.745 0.671 0.671
Mg 0.746 0.168 0.672
Mg 0.746 0.672 0.168
Mg 0.757 0.169 0.169



# 3
Here is an optimized crystal structure of CsC4S4N8O2F from the Materials Project. Energies are from PBE-GGA.

Computed properties:
E_form   0.43 eV per atom
Calculated volume   863.7 Å³ per cell
Total energy   -244.83 eV/cell
Magnetization   0.00 μB per cell

Unit cell a=11.506 b=11.506 c=11.506 alpha=133.37 beta=73.23 gamma=127.00
Sites, in units of the cell vectors:
Cs 0.250 0.250 0.000
Cs 0.750 0.750 0.000
C 0.053 0.646 0.699
C 0.216 0.101 0.316
C 0.284 0.601 0.885
C 0.447 0.146 0.594
C 0.553 0.854 0.406
C 0.716 0.399 0.115
C 0.784 0.899 0.684
C 0.947 0.354 0.301
S 0.119 0.815 0.934
S 0.143 0.245 0.388
S 0.357 0.745 0.102
S 0.381 0.315 0.696
S 0.619 0.685 0.304
S 0.643 0.255 0.898
S 0.857 0.755 0.612
S 0.881 0.185 0.066
N 0.041 0.416 0.230
N 0.081 0.006 0.325
N 0.181 0.506 0.925
N 0.185 0.811 0.770
N 0.315 0.084 0.626
N 0.319 0.243 0.325
N 0.418 0.743 0.925
N 0.459 0.689 0.374
N 0.541 0.311 0.626
N 0.582 0.257 0.075
N 0.681 0.757 0.675
N 0.685 0.916 0.374
N 0.815 0.189 0.230
N 0.819 0.494 0.075
N 0.919 0.994 0.675
N 0.959 0.584 0.770
O 0.166 0.395 0.561
O 0.334 0.895 0.229
O 0.666 0.105 0.771
O 0.834 0.605 0.439
F 0.000 0.500 0.500
F 0.500 0.000 0.500



# 4
Here is an optimized crystal structure of LiCuPO4 from the Materials Project. Energies are from PBE-GGA.

Computed properties:
E_form   -2.14 eV per atom
Calculated volume   144.7 Å³ per cell
Total energy   -86.85 eV/cell
Magnetization   2.00 μB per cell
Excess energy over the best structure of this formula in the dataset   0.060 eV per atom
Many sailor stories feature ships crossing south of Cap Horn to get to the other side of the Americas and many of those ships end up as wrecks. Now, with the opening of The Panama Canal in 1914, they don’t have to go there anymore (although many ships continued to do so for a while after). Unless, of course, you want to go to Antarctica.
Another way is to fly to Antarctica but even that requires special conditions and planes can be grounded for days, weeks and even months waiting for the winds to change.
These materials data were left in the page by mistake:
+++
[1]
Density functional theory data (PBE-GGA) for crystalline TaNbW at its relaxed geometry.

Results
density	14.5	g/cm3
total energy	-35.05	eV/cell

a = 7.2992 Å, b = 7.1085 Å, c = 2.8419 Å
α = 82.42°, β = 74.88°, γ = 22.70°
Closest atoms and distances in Å follow each position.
Fractional coordinates of all 3 atoms:
Ta1 0.6708 0.6708 0.3292  2 W 2.77, 4 Ta 2.84, 2 Nb 2.91
Nb1 0.9967 0.9967 0.0033  2 W 2.80, 4 Nb 2.84, 2 Ta 2.91
W1 0.3326 0.3326 0.6674  2 Ta 2.77, 2 Nb 2.80, 4 W 2.84



[2]
Density functional theory data (PBE-GGA) for crystalline U2Re3Si5 at its relaxed geometry.

Results
density	11.8	g/cm3
total energy	-364.55	eV/cell

a = 10.9650 Å, b = 10.9650 Å, c = 5.4810 Å
α = 90.00°, β = 90.00°, γ = 90.00°
Closest atoms and distances in Å follow each position.
Fractional coordinates of all 40 atoms:
U1 0.5709 0.7365 0.5000  9 Si 2.91-3.19, 2 Re 3.09
U2 0.4291 0.2635 0.5000  9 Si 2.91-3.19, 2 Re 3.09
U3 0.0709 0.7635 0.0000  9 Si 2.91-3.19, 2 Re 3.09
U4 0.9291 0.2365 0.0000  9 Si 2.91-3.19, 2 Re 3.09
U5 0.2635 0.5709 0.5000  9 Si 2.91-3.19, 2 Re 3.09
U6 0.7365 0.4291 0.5000  9 Si 2.91-3.19, 2 Re 3.09
U7 0.2365 0.0709 0.0000  9 Si 2.91-3.19, 2 Re 3.09
U8 0.7635 0.9291 0.0000  9 Si 2.91-3.19, 2 Re 3.09
Re1 0.8743 0.8596 0.5000  6 Si 2.44-2.54
Re2 0.1257 0.1404 0.5000  6 Si 2.44-2.54
Re3 0.3743 0.6404 0.0000  6 Si 2.44-2.54
Re4 0.6257 0.3596 0.0000  6 Si 2.44-2.54
Re5 0.1404 0.8743 0.5000  6 Si 2.44-2.54
Re6 0.8596 0.1257 0.5000  6 Si 2.44-2.54
Re7 0.3596 0.3743 0.0000  6 Si 2.44-2.54
Re8 0.6404 0.6257 0.0000  6 Si 2.44-2.54
Re9 0.5000 0.0000 0.2500  6 Si 2.46-2.74, 2 Re 2.74
Re10 0.0000 0.5000 0.7500  6 Si 2.46-2.74, 2 Re 2.74
Re11 0.0000 0.5000 0.2500  6 Si 2.46-2.74, 2 Re 2.74
Re12 0.5000 0.0000 0.7500  6 Si 2.46-2.74, 2 Re 2.74
Si1 0.6765 0.1765 0.2500  3 Re 2.49-2.74, 4 Si 2.59-2.74
Si2 0.3235 0.8235 0.2500  3 Re 2.49-2.74, 4 Si 2.59-2.74
Si3 0.1765 0.3235 0.7500  3 Re 2.49-2.74, 4 Si 2.59-2.74
Si4 0.8235 0.6765 0.7500  3 Re 2.49-2.74, 4 Si 2.59-2.74
Si5 0.8235 0.6765 0.2500  3 Re 2.49-2.74, 4 Si 2.59-2.74
Si6 0.1765 0.3235 0.2500  3 Re 2.49-2.74, 4 Si 2.59-2.74
Si7 0.6765 0.1765 0.7500  3 Re 2.49-2.74, 4 Si 2.59-2.74
Si8 0.3235 0.8235 0.7500  3 Re 2.49-2.74, 4 Si 2.59-2.74
Si9 0.5000 0.5000 0.2683  4 Re 2.54, 1 Si 2.54
Si10 0.0000 0.0000 0.7683  4 Re 2.54, 1 Si 2.54
Si11 0.5000 0.5000 0.7317  4 Re 2.54, 1 Si 2.54
Si12 0.0000 0.0000 0.2317  4 Re 2.54, 1 Si 2.54
Si13 0.6846 0.9767 0.5000  4 Re 2.44-2.52, 2 Si 2.59
Si14 0.3154 0.0233 0.5000  4 Re 2.44-2.52, 2 Si 2.59
Si15 0.1846 0.5233 0.0000  4 Re 2.44-2.52, 2 Si 2.59
Si16 0.8154 0.4767 0.0000  4 Re 2.44-2.52, 2 Si 2.59
Si17 0.0233 0.6846 0.5000  4 Re 2.44-2.52, 2 Si 2.59
Si18 0.9767 0.3154 0.5000  4 Re 2.44-2.52, 2 Si 2.59
Si19 0.4767 0.1846 0.0000  4 Re 2.44-2.52, 2 Si 2.59
Si20 0.5233 0.8154 0.0000  4 Re 2.44-2.52, 2 Si 2.59



| no. | energy of formation from the pure elements (eV per atom) |
| --- | --- |
| 1 | -0.043 |
| 2 | -0.374 |
+++
Here the page continues:
Drake lake and Drake shake
Depending on the conditions, your trip across the Drake can range from anything from a relatively calm experience to one of the roughest passages in the world. Colloquially, these are known as either a “Drake Lake” or a “Drake Shake”, respectively.
By “calm” we’re talking 2 days of 2-3m waves – not more than most people will be fine with rest, some fresh air and a couple of seasick pills. It’s still a rough time if you’re not used to it but you’ll survive. This is what we had on the way back.
On the way out though, we had a “Drake Shake” with 5-meter waves coming from the side. This is enough to slide plates off tables and it’s enough that you can’t sleep on the side. It was also enough that half the ship was sick in their cabins, even with pills.
Although, it was hard for me to sleep properly (because I was constantly rolled around), I felt fine and a few seasick pills kept me in ace condition.
It takes two days to cross the Drake Passage in a cruise ship and those days can be the longest days of your life if you do it in the wrong conditions. Luckily, in modern times we have charts and weather reports that help us avoid these conditions – in fact, as this post is being written dozens of modern ships are waiting in port in Ushuaia due to weather conditions. They simply can’t cross it without putting their passengers in danger.
Back in the old days, the ships were weaker and they didn’t have proper charts. I wouldn’t want to cross the drake during those times – let alone be the first adventurer to explore south.
One good thing, though, is that when you get to the other side – a new world awaits!